The True North strong and free!
We just had an election a few weeks ago, did you know that?
The Conservatives maintained a minority government.
What is a minority government?
Is it when a minority takes over the government, like what happened down south?
No, silly. There aren't any minorities in Canada. They don't call it "The Great White North" for nothing.
Oh wait, gays are a minority, aren't they? Well, they don't matter, anyway. We gave them the right to get married, and in exchange, they've agreed to stay hidden away in their horrible gay grottoes.
Let's say that Canadians get to vote on which political party gets the most pie. Usually, one party gets a really big piece of pie, and gets to hold it over the other parties' heads and say, "Nyah nyah. We get to call all the shots now, because even if you combined all your pieces of pie it still wouldn't be bigger than our piece of pie, jerkfaces." But, in a minority government, the party in charge didn't get a really big piece of pie, and the other parties could very well combine their pieces of pie to form a bigger piece of pie than that of the leading party party pie pie canadian pie pie.
What are the political parties and who leads them?
The Conservatives!
They like things the way they used to be. They also like money.
(Holding 143 seats)
Lead by Stephen Harper
- Is our Prime Minister
- Is from Alberta (where all the oil and money money is)
- Is super pissed right now
The Liberals!
They are the middle of the road, politically speaking.
(Holding 77 seats)
Lead by Stephane Dion
- Is the Leader of the Royal Opposition
- Will soon be ousted as leader of the Liberal Party
- Has a hard time speaking English
- Has got nothing
The New Democratic Party!
They are socialists. They love everything that Conservatives hate.
(Holding 37 seats)
The Bloc Québécois!
They want Quebec to be its own nation. For 245 years these damn Frenchies have been pressured into accepting proud, proper, British based culture, but some of them are still holding out.
(Holding 49 seats)
Lead by Gilles Dueceppe
- Shhhhhh
- Hates Canada
- Loves Quebec
- Speaks English better than Stephane Dion
- Reeks of fish
- Trent fucking hates the Bloc so much. "
Also, under Bloc you should mention how they want to separate and be their own country but still get the billions of dollars in revenue from the rest of the country they aren't part of anymore."
• Molecular data that have nothing to do with the article:
Below is 4 unconnected molecules or ions with the total composition C16H33BrN3O7P, with properties calculated with ωB97M-V/def2-TZVPD.

Properties
Gap between HOMO and LUMO (eV): 9.24
2S+1: 1
SMILES string: CCP(CC)OC(=O)OCC(=O)Br.CN(C)C=O.CN(C)C=O.CN(C)C=O

Each line ends with the Mulliken charge.
Atoms and positions in Å:
C 3.80 -0.90 0.41  -1.03
C 2.82 -0.55 -0.72  -0.04
P 2.76 1.12 -1.47  0.05
C 4.49 1.62 -1.74  -0.46
C 5.46 1.78 -0.55  -1.24
O 2.38 2.09 -0.13  -0.33
C 1.14 2.55 0.08  0.63
O 0.86 3.09 1.11  -0.53
O 0.27 2.40 -0.94  -0.32
C -0.49 1.19 -0.89  0.12
C -0.56 0.56 -2.26  0.23
O -0.66 -0.60 -2.46  -0.36
Br -0.59 1.82 -3.75  -0.17
H 4.77 -0.42 0.29  0.09
H 3.99 -1.98 0.41  0.40
H 3.40 -0.64 1.39  0.29
H 1.80 -0.74 -0.34  -0.10
H 2.94 -1.25 -1.56  0.48
H 4.88 0.95 -2.51  0.41
H 4.39 2.60 -2.22  0.39
H 6.03 0.85 -0.39  0.35
H 4.91 1.96 0.38  0.30
H 6.19 2.57 -0.72  0.33
H -1.51 1.40 -0.55  0.38
H -0.04 0.49 -0.19  0.11
C -3.30 -4.91 -4.01  0.13
O -4.23 -5.69 -4.07  -0.60
N -3.33 -3.66 -4.51  0.16
C -2.20 -2.76 -4.41  -1.04
C -4.54 -3.20 -5.17  -0.96
H -2.34 -5.16 -3.53  0.29
H -2.47 -1.86 -3.85  0.40
H -1.85 -2.46 -5.40  0.35
H -1.38 -3.25 -3.88  0.28
H -5.39 -3.24 -4.48  0.29
H -4.77 -3.84 -6.02  0.30
H -4.40 -2.18 -5.51  0.40
C 1.67 4.81 6.27  0.13
O 1.46 5.71 7.06  -0.59
N 0.78 4.39 5.35  0.15
C 1.07 3.31 4.43  -1.01
C -0.52 5.04 5.29  -0.94
H 2.62 4.26 6.24  0.26
H 1.01 3.65 3.40  0.51
H 0.37 2.49 4.57  0.30
H 2.08 2.94 4.61  0.29
H -0.40 6.10 5.08  0.30
H -1.04 4.94 6.24  0.31
H -1.10 4.58 4.50  0.35
C -1.50 -1.88 1.57  0.07
O -0.96 -0.92 1.03  -0.62
N -2.49 -2.59 1.01  0.15
C -3.10 -3.73 1.67  -0.93
C -2.96 -2.21 -0.31  -0.86
H -1.20 -2.24 2.56  0.27
H -2.96 -4.63 1.08  0.34
H -4.16 -3.56 1.82  0.33
H -2.63 -3.88 2.64  0.29
H -2.14 -2.25 -1.04  0.21
H -3.34 -1.19 -0.30  0.27
H -3.75 -2.88 -0.62  0.41



Below is a molecular structure, C16H33NO2P2Sn in a non-equilibrium geometry, with properties calculated with ωB97M-V/def2-TZVPD.

Properties
Gap between HOMO and LUMO (spin up / spin down) (eV): 5.72 / 5.72
ΔE to the lowest compared entry with this formula, charge and spin (kJ/mol): 309.5
2S+1: 1

Each line ends with the Mulliken charge.
Atoms and positions in Å:
Sn -0.42 0.14 0.08  0.37
P -1.67 -2.24 0.61  0.85
P 1.29 2.29 -0.57  1.17
N 1.18 -0.83 -0.41  -0.59
H -2.05 -0.44 0.58  0.01
C -2.04 -3.24 -0.86  -1.28
H -2.65 -4.01 -0.36  0.41
H -1.08 -3.63 -1.22  0.34
H -2.60 -2.66 -1.62  0.38
C -3.18 -1.91 1.57  -1.36
H -3.46 -2.95 1.73  0.52
H -3.87 -1.33 0.91  0.40
H -2.87 -1.36 2.47  0.34
C -0.46 -3.09 1.64  -1.30
H -1.15 -3.85 2.06  0.52
H -0.05 -2.41 2.41  0.26
H 0.31 -3.51 0.97  0.33
C 1.91 2.67 -2.25  -1.28
H 2.55 3.55 -2.34  0.42
H 1.05 2.76 -2.92  0.31
H 2.48 1.80 -2.62  0.33
C 0.56 3.87 0.05  -1.27
H 1.23 4.74 -0.06  0.46
H 0.26 3.78 1.10  0.23
H -0.37 4.11 -0.51  0.26
C 2.84 2.17 0.43  -1.26
H 3.43 3.11 0.45  0.46
H 3.50 1.38 0.03  0.30
H 2.63 1.87 1.47  0.28
C 2.20 -1.37 0.18  0.36
C 4.12 -2.81 -0.03  -0.21
the green party
The Green Party is yet another left-leaning political party, but they are distinct from other leftist parties for being fiscally conservative. Their main project is to help the environment, so it was rather convenient that green was still available.
The party is currently led by this fly woman right here
-A woman
-Leader of the Greens
-Single mother
-Owns many scarves
If you would like to see our leaders go at it in the House of Commons, you can see the sessions at
Did you know that The Liberals, The New Democrats and the Bloc Québécois hate Stephen Harper sooooo much that they are planning on forming a coalition to overthrow the Conservatives?
Well, they are.
The New Democrats and the Liberals have agreed to work together until 2011, if the government holds up that long.
The Bloc Québécois have agreed to support this coalition for 18 months.
Stephen Harper is going to try his very best to stop this unholy union from happening.
How is he going to do this?
Well, he could try to suspend parliament until January 26th, and let the whole situation cool off.
He could try to call an election.
He could cry a lot.
But, he's the Prime Minister. What do I mean by
try? Shouldn't he be able to just do this shit?
If he wants to call an election or suspend parliament he's gotta get approval from the Governor-General.
Michaëlle Jean
This sexy lady represents the Queen.
(Molecular data that have nothing to do with the article)
{"formula": "C5H8N", "method": "ωB97M-V/def2-TZVPD", "lumo_ha": -0.206, "largest_force_ha_per_bohr": 0.16274, "total_charge": 1, "e_homo_ev": -14.51, "total_energy_ha": -249.65643, "symbols": ["C", "C", "C", "C", "C", "N", "H", "H", "H", "H", "H", "H", "H", "H"], "coordinates": [[0.21, -0.77, 0.60], [0.08, 1.07, -0.29], [2.79, -0.02, -0.18], [-0.96, 0.26, 0.14], [-2.41, 0.09, -0.03], [1.37, 0.11, 0.05], [0.29, -1.13, 1.61], [0.17, -1.69, -0.07], [0.24, 1.84, -0.99], [3.46, -0.84, 0.03], [-2.57, -0.16, -1.10], [-2.92, 0.96, 0.20], [-2.87, -0.63, 0.64], [3.12, 0.93, -0.60]], "mulliken_charge": [-0.482, -0.590, -0.072, 0.612, -1.107, 0.008, 0.365, 0.280, 0.404, 0.309, 0.290, 0.388, 0.336, 0.260]}

=====

{"formula": "C5H8N", "method": "ωB97M-V/def2-TZVPD", "lumo_ha": -0.177, "largest_force_ha_per_bohr": 0.07889, "total_charge": 1, "e_homo_ev": -15.28, "total_energy_ha": -249.67641, "symbols": ["C", "N", "C", "C", "C", "C", "H", "H", "H", "H", "H", "H", "H", "H"], "coordinates": [[-3.01, -0.15, 0.19], [-1.85, 0.14, 0.51], [-0.63, 0.42, 0.76], [1.17, 0.34, 0.36], [1.70, -0.90, -0.25], [1.60, 0.36, -1.06], [-3.59, 0.52, -0.44], [-3.50, -1.03, 0.59], [-0.57, 1.02, 1.67], [1.61, 0.90, 1.16], [1.03, -1.71, -0.48], [2.66, -1.24, 0.11], [2.50, 0.93, -1.28], [0.87, 0.39, -1.85]], "mulliken_charge": [-0.185, -0.003, -0.067, 0.068, -0.532, -0.527, 0.278, 0.278, 0.255, 0.408, 0.257, 0.258, 0.256, 0.256]}

=====

{"formula": "C5H8N2", "method": "ωB97M-V/def2-TZVPD", "lumo_ha": 0.024, "largest_force_ha_per_bohr": 0.02445, "e_homo_ev": -8.58, "total_energy_ha": -304.72051, "symbols": ["C", "C", "C", "C", "N", "C", "N", "H", "H", "H", "H", "H", "H", "H", "H"], "coordinates": [[-0.69, -0.77, 1.13], [1.12, -0.36, -1.01], [0.08, 0.68, -1.49], [-1.25, 0.27, -1.93], [-2.33, 0.02, -2.27], [0.49, 0.20, 1.26], [1.49, -0.11, 0.23], [-1.43, -0.51, 1.88], [-1.20, -0.79, 0.16], [-0.34, -1.80, 1.31], [0.64, 0.95, -2.38], [-0.03, 1.59, -0.88], [0.97, 0.03, 2.23], [0.19, 1.25, 1.22], [2.29, -0.64, 0.55]], "mulliken_charge": [-0.878, -0.587, -0.136, 0.354, -0.444, -0.553, -0.032, 0.331, 0.223, 0.285, 0.290, 0.235, 0.368, 0.261, 0.282]}

=====

{"formula": "C5H8N2", "method": "ωB97M-V/def2-TZVPD", "lumo_ha": 0.033, "largest_force_ha_per_bohr": 0.04688, "e_homo_ev": -8.64, "total_energy_ha": -304.80091, "symbols": ["C", "C", "C", "C", "N", "C", "N", "H", "H", "H", "H", "H", "H", "H", "H"], "coordinates": [[-1.33, -0.57, 1.79], [-0.16, -0.98, 0.87], [0.09, -0.10, -0.31], [1.00, 0.93, -0.30], [1.21, 1.27, -1.61], [0.55, 0.36, -2.35], [-0.14, -0.51, -1.61], [-0.90, 0.06, 2.55], [-2.13, -0.27, 1.11], [-1.66, -1.37, 2.46], [-0.25, -2.03, 0.57], [0.73, -1.12, 1.50], [1.25, 1.44, 0.62], [1.46, 2.18, -1.95], [0.27, 0.70, -3.34]], "mulliken_charge": [-1.026, -0.608, 0.472, -0.404, -0.084, -0.318, -0.583, 0.265, 0.353, 0.301, 0.363, 0.313, 0.376, 0.254, 0.327]}

=====
(So much for the molecular data)
She is what keeps the Prime Minister in check when he tries to grab too much power.
Some parts of Canada are saying, "Hey, what the fuck? We voted the Conservatives in to lead us! This isn't cool!"
Other parts of Canada are saying, "YEEEEEEEAH! FUCK HARPER!"
What are YOU saying?
Rick Mercer rants.
kpop appreciation station i also like to tweet some
I made a TD for iphone and windows phone!
I made a TD for iphone and windows phone!
He has a grey suit, grey hair, grey tie and grey eyes
like watching a car crash
First to Pass the Post.
Which is lovely.
Because that means a political party doesn't need the popular vote majority to get a House majority.
not a single damn seat
Like the Green Party matters.
The Green Party is yet another left-leaning political party, but they are distinct from other leftist parties for being fiscally conservative. Their main project is to help the environment, so it was rather convenient that green was still available.
The party is currently led by this fly woman right here
-A woman
-Leader of the Greens
-Single mother
-Owns many scarves[/spoiler]
Oh, we used to have that here, but now we have this weird thing with one party vote and one electorate vote but they can still form weird ass coalitions (last time around the major party in the government had less vote % than the other main party, but they had a bunch of minor parties form a coalition so they were still in power). tldr: FPP can end up just as stupid as other systems
kpop appreciation station i also like to tweet some
Oh man.
It's disgusting. Like, in order to actually ascribe to their platform you would have to be either a complete asshole or insane.
I'm dead serious.
Basically most of the other provinces make tons of money from oil etc, Quebec makes fucking NOTHING, but they get all the social programs and buttloads of money dumped on them every year and they have a better set up than the provinces that do all the work.
AND they want to leave and be their own country, so people sort of said, "Ok, fine, go then, how the hell would you survive?"
"OH, because we are going to keep taking your fucking money you make for us, but we're too good to actually be part of you, just the money though we like that."
I made a TD for iphone and windows phone!
Also we have a communist party.
Do that one too
I made a TD for iphone and windows phone!
It's so terrifying, but so entertaining.
Harper screams something at the top of his lungs and sits down.
The Conservatives stand up, hoot and applaud.
Dion screams something at the top of his lungs, stuttering and all sounding like Kermit the Frog and sits down.
The Liberals stand up, hoot and applaud.
I respect our leaders so much.
I am for this too! It's ridiculous the special treatment we give them. We have tons and tons of nations within Canada, but they don't rail against the government. I think we should give the First Nations their owns province before we let Quebec separate.
I am not quite sure that they would want that!
Click on the bottom video, the Rant. It explains pretty well what's going on.
Who cares what they want it's a nice gesture
I totally agree, unfortunately because of THIS they might get their fucking way.
I made a TD for iphone and windows phone!
I made a TD for iphone and windows phone!
I may have been wrong about the First Nations Province, they might not want it. My point is that I don't want separatists separating from Canada, and becoming separate.
if they actually got their way they would quickly come crawling back with their tails between their legs once they realize they are a fucking useless territory and that they need Canada or they are fucked proper
Montreal fuckin' rocks.
May could get a fancy seat on the Senate and one in the cabinet.
And the other parties are all playing into their hand. Being that I support the Conservatives, it makes me chuckle.
no harper is just dumb and went too far and got slapped the fuck down
Canada: Practically the 51st State
Canada: The U.S.'s Hat
Also, this entire affair has made me realize that the only person with any fucking balls right now Duceppe because at least he's honest about what he wants. The rest of them are lying through their teeth.